What to do =
The reader should return the notes further down from the line with "Ti2 0.250" to the end with every line break kept.

Contents =
____________
1.
Computed, not measured: Ti2ZnS4 after structural relaxation at the PBE-GGA level of DFT.

Summary:
energy of formation = -1.349 eV per atom
size of the total moment = 0.4 μB per cell
corrected total energy (MP2020 scheme) = -6.148 eV/atom
E_tot = -5.86 eV/atom

abc: 7.070 7.164 9.907
angles: 90.00 90.00 90.00
Space group Imma (No. 74)
Asymmetric unit:
Ti1 0.000 0.000 0.000 x4
Ti2 0.250 0.250 0.250 x4
Zn1 0.250 0.250 0.750 x4
S1 0.000 0.004 0.249 x8
S2 0.242 0.250 0.999 x8

2.
Computed, not measured: CaSnF5 after structural relaxation at the PBE-GGA level of DFT.

Summary:
energy of formation = -3.255 eV per atom
size of the total moment = 0.0 μB per cell
corrected total energy (MP2020 scheme) = -5.482 eV/atom
E_tot = -5.15 eV/atom

abc: 5.866 10.791 8.228
angles: 90.00 110.16 90.00
Space group P2_1/c (No. 14)
Asymmetric unit:
Ca1 0.026 0.017 0.253 x4
Sn1 0.397 0.246 0.601 x4
F1 0.099 0.110 0.555 x4
F2 0.130 0.104 0.000 x4
F3 0.309 0.630 0.355 x4
F4 0.339 0.197 0.335 x4
F5 0.363 0.595 0.806 x4

=====

#one
This record from Materials Project describes a relaxed structure of Li10SnP2S12. The functional is PBE-GGA.

Unit cell a=8.6653 b=8.9496 c=13.1419 alpha=92.00 beta=90.61 gamma=90.08
Space group P1 (No. 1)
Unique sites:
1 Li 0.0000 0.0000 0.0000 [1 per cell]
2 Li 0.0011 0.5314 0.8861 [1 per cell]
3 Li 0.0103 0.9858 0.2826 [1 per cell]
4 Li 0.0140 0.4926 0.1185 [1 per cell]
5 Li 0.0147 0.5338 0.6388 [1 per cell]
6 Li 0.0319 0.0602 0.7908 [1 per cell]
7 Li 0.2314 0.2877 0.3841 [1 per cell]
8 Li 0.2664 0.7692 0.6854 [1 per cell]
9 Li 0.2808 0.7369 0.1806 [1 per cell]
10 Li 0.5060 0.0305 0.4908 [1 per cell]
11 Li 0.5096 0.0337 0.7642 [1 per cell]
12 Li 0.5118 0.5208 0.9164 [1 per cell]
13 Li 0.5182 0.5340 0.6416 [1 per cell]
14 Li 0.5231 0.9917 0.9854 [1 per cell]
15 Li 0.5350 0.5001 0.3216 [1 per cell]
16 Li 0.5538 0.9884 0.2586 [1 per cell]
17 Li 0.7334 0.2903 0.0610 [1 per cell]
18 Li 0.7587 0.2903 0.5832 [1 per cell]
19 Li 0.9835 0.5894 0.3863 [1 per cell]
20 Li 0.9899 0.0317 0.5530 [1 per cell]
21 Sn 0.2801 0.7625 0.4484 [1 per cell]
22 Sn 0.7660 0.2627 0.8165 [1 per cell]
23 P 0.2577 0.7821 0.9438 [1 per cell]
24 P 0.2621 0.2884 0.6261 [1 per cell]
25 P 0.7631 0.7380 0.1349 [1 per cell]
26 P 0.7785 0.2557 0.3174 [1 per cell]
27 S 0.0418 0.7611 0.5437 [1 per cell]
28 S 0.0637 0.8042 0.8531 [1 per cell]
29 S 0.0668 0.3035 0.5351 [1 per cell]
30 S 0.2544 0.5751 0.0075 [1 per cell]
31 S 0.2568 0.0844 0.6921 [1 per cell]
32 S 0.2603 0.5530 0.3277 [1 per cell]
33 S 0.2650 0.4668 0.7290 [1 per cell]
34 S 0.2653 0.9495 0.0551 [1 per cell]
35 S 0.2889 0.9870 0.3488 [1 per cell]
36 S 0.4530 0.3031 0.5341 [1 per cell]
37 S 0.4540 0.7887 0.8553 [1 per cell]
38 S 0.4960 0.7748 0.5629 [1 per cell]
39 S 0.5353 0.2379 0.9132 [1 per cell]
40 S 0.5721 0.7191 0.2228 [1 per cell]
41 S 0.5869 0.2640 0.2233 [1 per cell]
42 S 0.7583 0.9476 0.0769 [1 per cell]
43 S 0.7629 0.4343 0.4202 [1 per cell]
44 S 0.7711 0.4963 0.7309 [1 per cell]
45 S 0.7728 0.0558 0.3930 [1 per cell]
46 S 0.7748 0.5674 0.0242 [1 per cell]
47 S 0.7774 0.0582 0.6917 [1 per cell]
48 S 0.9640 0.7205 0.2210 [1 per cell]
49 S 0.9799 0.2589 0.2351 [1 per cell]
50 S 0.9836 0.2506 0.9315 [1 per cell]

Summary:
V: 20.370 Å³/atom

---

#two
This record from Materials Project describes a relaxed structure of Li10SnP2S12. The functional is PBE-GGA.

Unit cell a=8.8542 b=8.8542 c=12.8513 alpha=90.00 beta=90.00 gamma=90.00
Space group P4_2mc (No. 105)
Unique sites:
1 Li 0.0000 0.0000 0.0000 [2 per cell]
2 Li 0.2246 0.2447 0.4891 [8 per cell]
3 Li 0.2281 0.2737 0.7456 [8 per cell]
4 Li 0.5000 0.5000 0.3915 [2 per cell]
5 Sn 0.0000 0.0000 0.2526 [2 per cell]
6 P 0.0000 0.5000 0.9549 [2 per cell]
7 P 0.5000 0.5000 0.1369 [2 per cell]
8 S 0.0000 0.2209 0.6438 [4 per cell]
9 S 0.0000 0.2226 0.3614 [4 per cell]
10 S 0.0000 0.3106 0.0469 [4 per cell]
11 S 0.1932 0.5000 0.8643 [4 per cell]
12 S 0.3070 0.5000 0.5459 [4 per cell]
13 S 0.3099 0.5000 0.2283 [4 per cell]

Summary:
____________

Written answer =
Ti2 0.250 0.250 0.250 x4
Zn1 0.250 0.250 0.750 x4
S1 0.000 0.004 0.249 x8
S2 0.242 0.250 0.999 x8

2.
Computed, not measured: CaSnF5 after structural relaxation at the PBE-GGA level of DFT.

Summary:
energy of formation = -3.255 eV per atom
size of the total moment = 0.0 μB per cell
corrected total energy (MP2020 scheme) = -5.482 eV/atom
E_tot = -5.15 eV/atom

abc: 5.866 10.791 8.228
angles: 90.00 110.16 90.00
Space group P2_1/c (No. 14)
Asymmetric unit:
Ca1 0.026 0.017 0.253 x4
Sn1 0.397 0.246 0.601 x4
F1 0.099 0.110 0.555 x4
F2 0.130 0.104 0.000 x4
F3 0.309 0.630 0.355 x4
F4 0.339 0.197 0.335 x4
F5 0.363 0.595 0.806 x4

=====

#one
This record from Materials Project describes a relaxed structure of Li10SnP2S12. The functional is PBE-GGA.

Unit cell a=8.6653 b=8.9496 c=13.1419 alpha=92.00 beta=90.61 gamma=90.08
Space group P1 (No. 1)
Unique sites:
1 Li 0.0000 0.0000 0.0000 [1 per cell]
2 Li 0.0011 0.5314 0.8861 [1 per cell]
3 Li 0.0103 0.9858 0.2826 [1 per cell]
4 Li 0.0140 0.4926 0.1185 [1 per cell]
5 Li 0.0147 0.5338 0.6388 [1 per cell]
6 Li 0.0319 0.0602 0.7908 [1 per cell]
7 Li 0.2314 0.2877 0.3841 [1 per cell]
8 Li 0.2664 0.7692 0.6854 [1 per cell]
9 Li 0.2808 0.7369 0.1806 [1 per cell]
10 Li 0.5060 0.0305 0.4908 [1 per cell]
11 Li 0.5096 0.0337 0.7642 [1 per cell]
12 Li 0.5118 0.5208 0.9164 [1 per cell]
13 Li 0.5182 0.5340 0.6416 [1 per cell]
14 Li 0.5231 0.9917 0.9854 [1 per cell]
15 Li 0.5350 0.5001 0.3216 [1 per cell]
16 Li 0.5538 0.9884 0.2586 [1 per cell]
17 Li 0.7334 0.2903 0.0610 [1 per cell]
18 Li 0.7587 0.2903 0.5832 [1 per cell]
19 Li 0.9835 0.5894 0.3863 [1 per cell]
20 Li 0.9899 0.0317 0.5530 [1 per cell]
21 Sn 0.2801 0.7625 0.4484 [1 per cell]
22 Sn 0.7660 0.2627 0.8165 [1 per cell]
23 P 0.2577 0.7821 0.9438 [1 per cell]
24 P 0.2621 0.2884 0.6261 [1 per cell]
25 P 0.7631 0.7380 0.1349 [1 per cell]
26 P 0.7785 0.2557 0.3174 [1 per cell]
27 S 0.0418 0.7611 0.5437 [1 per cell]
28 S 0.0637 0.8042 0.8531 [1 per cell]
29 S 0.0668 0.3035 0.5351 [1 per cell]
30 S 0.2544 0.5751 0.0075 [1 per cell]
31 S 0.2568 0.0844 0.6921 [1 per cell]
32 S 0.2603 0.5530 0.3277 [1 per cell]
33 S 0.2650 0.4668 0.7290 [1 per cell]
34 S 0.2653 0.9495 0.0551 [1 per cell]
35 S 0.2889 0.9870 0.3488 [1 per cell]
36 S 0.4530 0.3031 0.5341 [1 per cell]
37 S 0.4540 0.7887 0.8553 [1 per cell]
38 S 0.4960 0.7748 0.5629 [1 per cell]
39 S 0.5353 0.2379 0.9132 [1 per cell]
40 S 0.5721 0.7191 0.2228 [1 per cell]
41 S 0.5869 0.2640 0.2233 [1 per cell]
42 S 0.7583 0.9476 0.0769 [1 per cell]
43 S 0.7629 0.4343 0.4202 [1 per cell]
44 S 0.7711 0.4963 0.7309 [1 per cell]
45 S 0.7728 0.0558 0.3930 [1 per cell]
46 S 0.7748 0.5674 0.0242 [1 per cell]
47 S 0.7774 0.0582 0.6917 [1 per cell]
48 S 0.9640 0.7205 0.2210 [1 per cell]
49 S 0.9799 0.2589 0.2351 [1 per cell]
50 S 0.9836 0.2506 0.9315 [1 per cell]

Summary:
V: 20.370 Å³/atom

---

#two
This record from Materials Project describes a relaxed structure of Li10SnP2S12. The functional is PBE-GGA.

Unit cell a=8.8542 b=8.8542 c=12.8513 alpha=90.00 beta=90.00 gamma=90.00
Space group P4_2mc (No. 105)
Unique sites:
1 Li 0.0000 0.0000 0.0000 [2 per cell]
2 Li 0.2246 0.2447 0.4891 [8 per cell]
3 Li 0.2281 0.2737 0.7456 [8 per cell]
4 Li 0.5000 0.5000 0.3915 [2 per cell]
5 Sn 0.0000 0.0000 0.2526 [2 per cell]
6 P 0.0000 0.5000 0.9549 [2 per cell]
7 P 0.5000 0.5000 0.1369 [2 per cell]
8 S 0.0000 0.2209 0.6438 [4 per cell]
9 S 0.0000 0.2226 0.3614 [4 per cell]
10 S 0.0000 0.3106 0.0469 [4 per cell]
11 S 0.1932 0.5000 0.8643 [4 per cell]
12 S 0.3070 0.5000 0.5459 [4 per cell]
13 S 0.3099 0.5000 0.2283 [4 per cell]

Summary: